Listing.
- - -
# KCr2FeF8

A relaxed structure of KCr2FeF8 (GGA+U, the Alexandria database).

Values from the calculation:
raw total energy	-5.650	eV/atom
calculated density	3.4	g/cm3
D(E_F)	0.4	states/eV/f.u.
total moment	0.917	μB per atom

Cell lengths 5.0676, 5.0412, 6.7216 Å; angles 89.99, 89.99, 87.18 degrees
Closest atoms and distances in Å follow each position.
Fractional positions:
F 0.7836 0.2200 0.7907  1 Cr 1.98, 1 Fe 2.07
F 0.6571 0.6616 0.5000  2 Cr 2.10, 1 F 2.33
F 0.6857 0.6899 0.0000  2 Cr 2.12, 1 Fe 2.29
F 0.3429 0.3384 0.5000  2 Cr 2.10, 1 F 2.33
F 0.2164 0.7801 0.7907  1 Cr 1.98, 1 Fe 2.07
F 0.7836 0.2199 0.2093  1 Cr 1.98, 1 Fe 2.07
F 0.3143 0.3101 0.0000  2 Cr 2.12, 1 Fe 2.29
F 0.2164 0.7800 0.2093  1 Cr 1.98, 1 Fe 2.07
Cr 0.5000 0.5000 0.2409  6 F 1.98-2.12
Cr 0.5000 0.5000 0.7591  6 F 1.98-2.12
Fe 0.0000 0.0000 0.0000  6 F 2.07-2.29
K 0.0000 0.0000 0.5000  6 F 2.48-2.49

* * * * *

No. 1
Compound: Pr3Cd2Bi
Source: Alexandria via LeMat-Bulk
Functional: PBE-GGA
Structure: optimized geometry

The structure belongs to space group Cmmm (No. 65); the cell edges are 5.340, 16.252 and 4.165 Å and the angles 90.00°, 90.00° and 90.00°. The asymmetric unit holds Pr at (0.000, 0.000, 0.000), Pr at (0.000, 0.335, 0.000), Cd at (0.000, 0.178, 0.500) and Bi at (0.000, 0.500, 0.500).

The value obtained for the formation energy is -0.48 eV per atom.



No. 2
Compound: Pr2CdBi4
Source: Alexandria via LeMat-Bulk
Functional: PBE-GGA
Structure: optimized geometry

The structure belongs to space group P-4m2 (No. 115); the cell edges are 4.619, 4.619 and 10.580 Å and the angles 90.00°, 90.00° and 90.00°. The asymmetric unit holds Pr at (0.000, 0.500, 0.245), Cd at (0.000, 0.000, 0.500), Bi at (0.000, 0.000, 0.000), Bi at (0.000, 0.500, 0.678) and Bi at (0.500, 0.500, 0.000).

The value obtained for the formation energy is -0.55 eV per atom.



No. 3
Compound: PrCdBi
Source: Alexandria via LeMat-Bulk
Functional: PBE-GGA
Structure: optimized geometry

The structure belongs to space group I4mm (No. 107); the cell edges are 4.361, 4.361 and 9.705 Å and the angles 90.00°, 90.00° and 90.00°. The asymmetric unit holds Pr at (0.000, 0.000, 0.000), Cd at (0.000, 0.000, 0.330) and Bi at (0.000, 0.000, 0.656).

The value obtained for the formation energy is -0.37 eV per atom.



No. 4
Compound: Pr2Cd16Bi
Source: Alexandria via LeMat-Bulk
Functional: PBE-GGA
Structure: optimized geometry

The structure belongs to space group R3m (No. 160, hexagonal axes); the cell edges are 10.3473, 10.3473 and 14.7010 Å and the angles 90.00°, 90.00° and 120.00°. The asymmetric unit holds Pr at (0.0000, 0.0000, 0.0000), Pr at (0.0000, 0.0000, 0.3293), Cd at (0.0000, 0.0000, 0.5585), Cd at (0.0019, 0.3152, 0.6648), Cd at (0.0173, 0.5086, 0.1631), Cd at (0.0176, 0.5088, 0.8207), Cd at (0.1743, 0.3486, 0.8439) and Bi at (0.0000, 0.0000, 0.7694).

The value obtained for the formation energy is -0.16 eV per atom.



No. 5
Compound: Pr2Cd3Bi3
Source: Alexandria via LeMat-Bulk
Functional: PBE-GGA
Structure: optimized geometry

The structure belongs to space group Pmmm (No. 47); the cell edges are 4.757, 5.124 and 9.348 Å and the angles 90.00°, 90.00° and 90.00°. The asymmetric unit holds Pr at (0.000, 0.000, 0.248), Cd at (0.000, 0.500, 0.500), Cd at (0.500, 0.500, 0.269), Bi at (0.000, 0.500, 0.000), Bi at (0.500, 0.000, 0.000) and Bi at (0.500, 0.000, 0.500).

The value obtained for the formation energy is -0.44 eV per atom.



No. 6
Compound: PrCdBi
Source: Alexandria via LeMat-Bulk
Functional: PBE-GGA
Structure: optimized geometry

The structure belongs to space group P3m1 (No. 156); the cell edges are 4.8714, 4.8714 and 4.4559 Å and the angles 90.00°, 90.00° and 120.00°. The asymmetric unit holds Pr at (0.0000, 0.0000, 0.0000), Cd at (0.3333, 0.6667, 0.6695) and Bi at (0.6667, 0.3333, 0.4205).

The value obtained for the formation energy is -0.47 eV per atom.



No. 7
Compound: PrCdBi4Rh2
Source: Alexandria via LeMat-Bulk
Functional: PBE-GGA
- - -
Exercise.
Now restate all of the calculation results further above unchanged.
Worked solution.
# KCr2FeF8

A relaxed structure of KCr2FeF8 (GGA+U, the Alexandria database).

Values from the calculation:
raw total energy	-5.650	eV/atom
calculated density	3.4	g/cm3
D(E_F)	0.4	states/eV/f.u.
total moment	0.917	μB per atom

Cell lengths 5.0676, 5.0412, 6.7216 Å; angles 89.99, 89.99, 87.18 degrees
Closest atoms and distances in Å follow each position.
Fractional positions:
F 0.7836 0.2200 0.7907  1 Cr 1.98, 1 Fe 2.07
F 0.6571 0.6616 0.5000  2 Cr 2.10, 1 F 2.33
F 0.6857 0.6899 0.0000  2 Cr 2.12, 1 Fe 2.29
F 0.3429 0.3384 0.5000  2 Cr 2.10, 1 F 2.33
F 0.2164 0.7801 0.7907  1 Cr 1.98, 1 Fe 2.07
F 0.7836 0.2199 0.2093  1 Cr 1.98, 1 Fe 2.07
F 0.3143 0.3101 0.0000  2 Cr 2.12, 1 Fe 2.29
F 0.2164 0.7800 0.2093  1 Cr 1.98, 1 Fe 2.07
Cr 0.5000 0.5000 0.2409  6 F 1.98-2.12
Cr 0.5000 0.5000 0.7591  6 F 1.98-2.12
Fe 0.0000 0.0000 0.0000  6 F 2.07-2.29
K 0.0000 0.0000 0.5000  6 F 2.48-2.49

* * * * *

No. 1
Compound: Pr3Cd2Bi
Source: Alexandria via LeMat-Bulk
Functional: PBE-GGA
Structure: optimized geometry

The structure belongs to space group Cmmm (No. 65); the cell edges are 5.340, 16.252 and 4.165 Å and the angles 90.00°, 90.00° and 90.00°. The asymmetric unit holds Pr at (0.000, 0.000, 0.000), Pr at (0.000, 0.335, 0.000), Cd at (0.000, 0.178, 0.500) and Bi at (0.000, 0.500, 0.500).

The value obtained for the formation energy is -0.48 eV per atom.



No. 2
Compound: Pr2CdBi4
Source: Alexandria via LeMat-Bulk
Functional: PBE-GGA
Structure: optimized geometry

The structure belongs to space group P-4m2 (No. 115); the cell edges are 4.619, 4.619 and 10.580 Å and the angles 90.00°, 90.00° and 90.00°. The asymmetric unit holds Pr at (0.000, 0.500, 0.245), Cd at (0.000, 0.000, 0.500), Bi at (0.000, 0.000, 0.000), Bi at (0.000, 0.500, 0.678) and Bi at (0.500, 0.500, 0.000).

The value obtained for the formation energy is -0.55 eV per atom.



No. 3
Compound: PrCdBi
Source: Alexandria via LeMat-Bulk
Functional: PBE-GGA
Structure: optimized geometry

The structure belongs to space group I4mm (No. 107); the cell edges are 4.361, 4.361 and 9.705 Å and the angles 90.00°, 90.00° and 90.00°. The asymmetric unit holds Pr at (0.000, 0.000, 0.000), Cd at (0.000, 0.000, 0.330) and Bi at (0.000, 0.000, 0.656).

The value obtained for the formation energy is -0.37 eV per atom.



No. 4
Compound: Pr2Cd16Bi
Source: Alexandria via LeMat-Bulk
Functional: PBE-GGA
Structure: optimized geometry

The structure belongs to space group R3m (No. 160, hexagonal axes); the cell edges are 10.3473, 10.3473 and 14.7010 Å and the angles 90.00°, 90.00° and 120.00°. The asymmetric unit holds Pr at (0.0000, 0.0000, 0.0000), Pr at (0.0000, 0.0000, 0.3293), Cd at (0.0000, 0.0000, 0.5585), Cd at (0.0019, 0.3152, 0.6648), Cd at (0.0173, 0.5086, 0.1631), Cd at (0.0176, 0.5088, 0.8207), Cd at (0.1743, 0.3486, 0.8439) and Bi at (0.0000, 0.0000, 0.7694).

The value obtained for the formation energy is -0.16 eV per atom.



No. 5
Compound: Pr2Cd3Bi3
Source: Alexandria via LeMat-Bulk
Functional: PBE-GGA
Structure: optimized geometry

The structure belongs to space group Pmmm (No. 47); the cell edges are 4.757, 5.124 and 9.348 Å and the angles 90.00°, 90.00° and 90.00°. The asymmetric unit holds Pr at (0.000, 0.000, 0.248), Cd at (0.000, 0.500, 0.500), Cd at (0.500, 0.500, 0.269), Bi at (0.000, 0.500, 0.000), Bi at (0.500, 0.000, 0.000) and Bi at (0.500, 0.000, 0.500).

The value obtained for the formation energy is -0.44 eV per atom.



No. 6
Compound: PrCdBi
Source: Alexandria via LeMat-Bulk
Functional: PBE-GGA
Structure: optimized geometry

The structure belongs to space group P3m1 (No. 156); the cell edges are 4.8714, 4.8714 and 4.4559 Å and the angles 90.00°, 90.00° and 120.00°. The asymmetric unit holds Pr at (0.0000, 0.0000, 0.0000), Cd at (0.3333, 0.6667, 0.6695) and Bi at (0.6667, 0.3333, 0.4205).

The value obtained for the formation energy is -0.47 eV per atom.



No. 7
Compound: PrCdBi4Rh2
Source: Alexandria via LeMat-Bulk
Functional: PBE-GGA